• Given:
........
Formula: C3H7N2S
Source: OMol25
Level of theory: ωB97M-V with the def2-TZVPD basis set

```
13
Properties=species:S:1:pos:R:3:forces:R:3
C -0.706 -1.268 -0.043 0.886 0.035 0.193
C 1.725 -0.504 0.266 -0.819 -2.336 0.641
C -1.979 1.013 -0.646 -3.826 0.369 2.149
N 0.578 -1.038 -0.481 -1.975 0.198 -1.072
N -0.048 -2.396 -0.224 0.217 -1.135 0.075
S -2.215 -0.622 0.242 0.653 0.380 0.154
H 2.410 -0.379 -0.543 0.939 0.690 0.055
H 1.376 0.400 0.774 0.727 -0.288 0.258
H 2.053 -1.434 0.864 -0.114 2.058 -0.127
H -3.060 1.151 -1.015 1.962 -0.537 -0.705
H -1.153 0.769 -1.230 0.898 0.562 -1.720
H -1.962 1.916 -0.002 0.968 -0.879 0.105
H 0.336 -3.117 0.418 -0.517 0.883 -0.006
```
Forces are in eV/Å.

Output
**Total charge**: +1
**HOMO-LUMO gap**: 0.346 Ha
**Molecular weight**: 103.17 g mol⁻¹
**Energy relative to the best compared isomer or geometry (same formula, charge and spin)**: 5.0131 eV

Here are the Mulliken charges for atoms 1 to 8, given in e: 0.64, -0.64, -0.81, -0.17, -0.32, 0.05, 0.28, 0.31



Formula: C3H7N2S
Source: OMol25
Level of theory: ωB97M-V with the def2-TZVPD basis set

```
13
Properties=species:S:1:pos:R:3:forces:R:3
C 0.306 0.733 -0.066 -4.271 0.571 0.285
C 1.476 0.021 -0.091 2.417 -0.967 -0.179
C -1.949 -0.419 -0.155 -2.193 -4.816 -0.886
N -1.080 0.540 0.048 4.996 4.838 0.854
N 1.878 -1.248 0.056 -1.433 0.295 -0.038
S -3.642 -0.308 0.011 0.041 0.262 0.116
H 0.487 1.797 -0.126 0.078 0.030 0.192
H 2.327 0.682 -0.229 -0.122 -0.022 -0.044
H -1.604 -1.402 -0.443 0.052 0.098 -0.015
H -1.516 1.432 0.287 0.277 -0.183 -0.283
H 2.855 -1.469 -0.014 0.118 -0.036 0.000
H 1.232 -2.005 0.225 0.073 -0.082 0.012
H -3.711 0.998 0.319 -0.032 0.013 -0.013
```
Forces are in eV/Å.

Output
**Total charge**: +1
**Multiplicity**: 3
**HOMO-LUMO gap (spin up / spin down)**: 0.256 / 0.259 Ha
**Molecular weight**: 103.17 g mol⁻¹
**Energy relative to the best compared isomer or geometry (same formula, charge and spin)**: 0.6123 eV

Here are the Mulliken charges for atoms 1 to 8, given in e: -0.08, 0.03, 0.01, -0.20, -0.29, -0.11, 0.29, 0.31
........

• Job:
Reproduce the lines further up from the one with "0.266 -0.819" to the one with "2.053 -1.434" verbatim, please.

• Solution:
C 1.725 -0.504 0.266 -0.819 -2.336 0.641
C -1.979 1.013 -0.646 -3.826 0.369 2.149
N 0.578 -1.038 -0.481 -1.975 0.198 -1.072
N -0.048 -2.396 -0.224 0.217 -1.135 0.075
S -2.215 -0.622 0.242 0.653 0.380 0.154
H 2.410 -0.379 -0.543 0.939 0.690 0.055
H 1.376 0.400 0.774 0.727 -0.288 0.258
H 2.053 -1.434 0.864 -0.114 2.058 -0.127